Becoming a Certified Legal Nurse Consultant is an exciting process, but it can also be daunting, so I’ve asked the CLNC® Pros to share the first steps you should take when starting your CLNC business.
- Make completing the CLNC Certification Program a high priority. Dorene Goldstein, RNC, BSN, CLNC advises, “With working at the hospital, taking care of our families and other commitments, spending time reviewing the Certification Program can fall to the bottom of your To-Do list. Set a completion date for finishing the modules. Once you set a date, create a realistic plan of what you want to accomplish each week. Allow time for adjustments because life happens and things change. Create a quiet learning environment to study. Having a designated study place just makes it real and keeps you focused. Listen to the modules and take notes as you go. This will help you retain the material. Dive in and enjoy. While there may be a lot of content, the Certification Program is designed in a specific comprehensive order, which allows you to build your vocabulary and knowledge. Take a deep breath, make a cup of tea and enjoy the ride!”
- Learn from the CLNC Pros. Jorie Akins, RN, BSN, TNCC, ECRN, CLNC shares, “Each CLNC consultant has their own journey and unique story. Collect their advice and knowledge from their stories to build a path to your own CLNC success.”
- Map out the bigger picture of what you want to accomplish. Include both short-term and long term goals. Focus on a short-term goal every day. It’s imperative that you engage your CLNC business daily for taking action to become a lifestyle. Suzanne Arragg, RN, BSN, CDONA/LTC, CLNC suggests, “At first, you’ll want to do everything all at once. This is impossible, so get centered. Practice deep breathing. Envision what you want your CLNC business to look like. What are your goals? Once your goals are defined, move forward and take action on each and every one.”
- Go back and study the CLNC Certification Program. The modules are a wealth of information. Jorie Akins states, “I listened to the modules on the way to work a 12-hour shift at the hospital; I could do this with little to no effort.”
- Believe that you can and will be successful. Life events and family challenges will occur. Jorie Akins cautions, “Friends, loved ones and co-workers might challenge whether this career path is really a good choice for you. If you believe becoming a Certified Legal Nurse Consultant is for you, put the naysayers aside and stay true to your path.”
- Set up your home office. Keep it simple. Start with the basics such as a desk, computer, scanner, file drawer and basic office supplies. Camille Joyner, RN, BSN, CCM, CLNC recommends, “Keep purchases realistic. Every office supply store has beautiful leather folders and leather office chairs. You’ll sleep more soundly at night and do a much better job on your CLNC business by purchasing only what is necessary to start. The fun shopping will come as soon as you are successful.”
- Develop a business relationship with a CPA and a business attorney. They will ensure you conduct yourself professionally. For example, Dale Barnes, RN, MSN, PHN, CLNC expresses, “You will want an attorney or CPA to help you decide if an LLC or a sole proprietorship is best for you. They can also guide you in setting up an LLC or filing a DBA and obtaining a tax identification number.”
- Develop your business plan and 90-day marketing plan. Develop the strategies, action steps and target dates essential for obtaining your first client. Dale Barnes confesses, “I learned the hard way that I should have developed my business plan much sooner.”Order your CLNC Marketing Materials. Obtain business cards, brochures, letterhead and envelopes.
Michelle Neal, RN, BSN, CLNC advises, “Consider different strategies for marketing which include networking on social media, mail-call, exhibiting and visiting local attorney offices. Research different law firms (big and small) and different types of attorneys (personal injury, medical malpractice, products liability, etc.). Create your unique selling position (USP) for each type of attorney. Keep a spreadsheet of who you’ve marketed to. Be persistent in following up with each attorney in a timely manner.”
Marcia Bell, RN, BSN, CAPA, CLNC advises to decide on a budget for marketing. She adds, “How much will it cost to purchase brochures from the CLNC Marketing Center? Do you want to give away pens or other promotional items to attorney-prospects and clients? It’s important to have at least one professional outfit to wear to interviews.”
At first engage in action steps that come easily. Add the more challenging tasks as you progress. Jorie Akins affirms, “Some of the first steps I took included reading Vickie Milazzo’s books, ordering business cards, researching potential attorney-clients and studying the CLNC Certification Program again. I found accomplishing these manageable tasks gave me the confidence to tackle bigger action steps such as creating a website, setting up my LLC and keeping track of expenses for tax purposes.”
Robert Malaer, RN, MSN, PMHN, SANE, CNLCP, CALM, CLNC also recommends, “Locate all law firms within a four-hour radius and review their websites for names of attorneys and paralegals. Put together promotional packages for all attorneys and paralegals at the law firms you select. Start visiting the law firms and continue to follow-up.”
Network with anyone who comes within three feet of you. Everyone knows an attorney.
Finally, Camille Joyner reminds us to update our business and marketing plan often.
- Set up your business processes. Decide on a business name. Open a business banking account. Track your business finances for tax purposes. Obtain a business email and DropBox account. Prepare a voicemail that announces your name and call-back instructions. Keep it professional. Set up a professional Facebook and LinkedIn account. Update and give a facelift to your resume. Draft an introductory letter to send to attorney-prospects. Purchase a power-suit for interviews. Use the CLNC Certification Program templates to set up templates for your invoices and reports.
- Develop a simple website. Marcia Bell encourages, “There are numerous places where you can set up a website for free. It’s as simple as adding your USP and qualifications. It’s also easy to add links such as’s website and the National Alliance of Certified Legal Nurse Consultants (NACLNC®) logo on your website.”
- Create a sample report to show attorneys. Marcia Bell describes, “I started with a couple of samples in the beginning, then continued to add more. I now have samples for medical malpractice, personal injury, and criminal cases, just to name a few.” Kaylin Chase, RN, BSN, CNLCP, CLNC developed her first sample report from a case study in the CLNC Certification Program. She adds, “As I have consulted on new and interesting cases I now redact personal information and use those cases as sample reports.”
- Don’t get frustrated if success doesn’t happen overnight. Jorie Akins describes, “There are many amazing Certified Legal Nurse Consultants who are successful out of the gate and that is certainly inspiring, but there are others who succeed more slowly. The pace of your success doesn’t matter. What should matter is that giving up is not an option for you.”
- Don’t expect to be perfect. Kaylin Chase stresses, “The attorneys I work with are happy to know that I can find answers to their questions. I aimed to provide the best work product possible from the beginning, but my best when I started was nowhere close to my best now. However, it was darn good and earned me a lot of repeat business. When I need assistance, I use the NACLNC Directory to find qualified Certified Legal Nurse Consultants to subcontract with.”
- Thank people along the way. Camille Joyner encourages, “Say thanks for even the tiniest good deed. The element of a pleasant surprise via a simple thank you can pay big, unexpected dividends. More times than not, the good will generated is worth the effort.”
These 14 action steps are the first steps you should take. Thanks to Jorie Akins, RN, BSN, TNCC, ECRN, CLNC, Suzanne Arragg, RN, BSN, CDONA/LTC, CLNC, Dale Barnes, RN, MSN, PHN, CLNC, Marcia Bell, RN, BSN, CAPA, CLNC, Kaylin Chase, RN, BSN, CNLCP, CLNC, Dorene Goldstein, RNC, BSN, CLNC, Camille Joyner, RN, BSN, CCM, CLNC, Robert Malaer, RN, MSN, PMHN, SANE, CNLCP, CALM, CLNC and Michelle Neal, RN, BSN, CLNC for helping new Certified Legal Nurse Consultants get started.
Michelle Neal encourages, “While you’re in the process of marketing and awaiting your first case, read sample case reports from (VMI), prepare sample case reports for attorney-prospects, study interview questions from VMI, review how to screen cases and write reports from the CLNC Certification Program. Get prepared for your first case. Stay active in the legal nurse consulting world. Do something for your CLNC business every day. Most importantly, don’t make excuses; excuses won’t make success.”
Be safe and stay healthy,
• Calculated crystals that have nothing to do with the article:
-- begin --
(1)
The following is a computed PXRD pattern of ThSn3. It was derived from DFT lattice parameters and positions (PBE), using Cu Kα.
Kinematic intensities with the Lorentz-polarization factor, no thermal factor.

Cell and atoms:
```
ThSn3
1.0
4.7662 0.0000 0.0000
0.0000 4.7662 0.0000
0.0000 0.0000 4.7662
Th Sn
1 3
Direct
0.0000 0.0000 0.0000 Th
0.0000 0.5000 0.5000 Sn
0.5000 0.0000 0.5000 Sn
0.5000 0.5000 0.0000 Sn
```

Largest 10 diffraction maxima, in order of rising 2θ, 15 to 90 degrees two-theta:
two_theta, I_rel
18.6, 85
26.4, 75
32.5, 1000
37.7, 507
42.4, 44
54.5, 361
64.9, 433
68.2, 126
80.6, 61
89.7, 198

(2)
The following is a computed PXRD pattern of TaTlO12. It was derived from DFT lattice parameters and positions (PBE), using Cu Kα.
Kinematic intensities with the Lorentz-polarization factor, no thermal factor.

Cell and atoms:
```
TaTlO12
1.0
0.0000 5.3944 5.3944
5.3944 0.0000 5.3944
5.3944 5.3944 0.0000
Ta Tl O
2 2 24
Direct
0.1250 0.1250 0.1250 Ta
0.8750 0.8750 0.8750 Ta
0.3750 0.3750 0.3750 Tl
0.6250 0.6250 0.6250 Tl
0.1439 0.1439 0.3982 O
0.1439 0.1439 0.8139 O
0.1439 0.3982 0.1439 O
0.1439 0.3982 0.8139 O
0.1439 0.8139 0.1439 O
0.1439 0.8139 0.3982 O
0.1861 0.6018 0.8561 O
0.1861 0.8561 0.6018 O
0.1861 0.8561 0.8561 O
0.3982 0.1439 0.1439 O
0.3982 0.1439 0.8139 O
0.3982 0.8139 0.1439 O
0.6018 0.1861 0.8561 O
0.6018 0.8561 0.1861 O
0.6018 0.8561 0.8561 O
0.8139 0.1439 0.1439 O
0.8139 0.1439 0.3982 O
0.8139 0.3982 0.1439 O
0.8561 0.1861 0.6018 O
0.8561 0.1861 0.8561 O
0.8561 0.6018 0.1861 O
0.8561 0.6018 0.8561 O
0.8561 0.8561 0.1861 O
0.8561 0.8561 0.6018 O
```

Largest 10 diffraction maxima, in order of rising 2θ, 15 to 90 degrees two-theta:
two_theta, I_rel
23.3, 1000
33.2, 177
41.0, 654
47.7, 140
53.7, 280
59.3, 103
64.7, 251
74.6, 163
79.5, 74
84.2, 65

(3)
The following is a computed PXRD pattern of KSe. It was derived from DFT lattice parameters and positions (PBE), using Cu Kα.
Kinematic intensities with the Lorentz-polarization factor, no thermal factor.

Cell and atoms:
```
KSe
1.0
9.0350 0.0000 0.0000
-4.5175 7.8245 0.0000
0.0000 0.0000 6.0984
K Se
6 6
Direct
0.0000 0.3501 0.0000 K
0.0000 0.6836 0.5000 K
0.3164 0.3164 0.5000 K
0.3501 0.0000 0.0000 K
0.6499 0.6499 0.0000 K
0.6836 0.0000 0.5000 K
0.0000 0.0000 0.1997 Se
0.0000 0.0000 0.8003 Se
0.3333 0.6667 0.2992 Se
0.3333 0.6667 0.7008 Se
0.6667 0.3333 0.2992 Se
0.6667 0.3333 0.7008 Se
```

Largest 10 diffraction maxima, in order of rising 2θ, 15 to 90 degrees two-theta:
two_theta, I_rel
19.7, 1000
24.5, 454
34.4, 976
35.5, 905
39.9, 167
50.3, 317
53.7, 146
61.6, 158
62.3, 319
83.4, 136

(4)
The following is a computed PXRD pattern of NaB3H4O7. It was derived from DFT lattice parameters and positions (PBE), using Cu Kα.
Kinematic intensities with the Lorentz-polarization factor, no thermal factor.

Cell and atoms:
```
NaB3H4O7
1.0
9.2383 -4.9615 0.0000
9.2383 4.9615 0.0000
-1.5516 0.0000 6.2521
Na B H O
4 12 16 28
Direct
0.0645 0.5898 0.8995 Na
0.4102 0.9355 0.6005 Na
-- stop --
• So much for the calculated crystals:
Vickie L. Milazzo, RN, MSN, JD
P.S. Comment and share the action steps you took when you started your legal nurse consulting business.